[Data]
(1)
ORCA calculation (wB97M-V/def2-TZVPD) on 8 unconnected molecules or ions with the total composition C29H70N2O10P at a distorted geometry.

The geometry in XYZ format:
```
112
C29H70N2O10P wB97M-V/def2-TZVPD
H -6.28 -2.29 -5.92
H -5.47 -0.83 -4.05
O -8.14 -2.62 -5.09
H -0.98 -2.90 -3.11
O 1.28 -4.98 4.25
H 1.36 5.24 1.07
O -7.25 -0.47 6.01
H 3.21 -4.01 2.55
C 3.35 -2.94 2.61
H 4.38 -0.54 -1.91
C 4.21 -0.89 2.35
O 2.23 3.49 0.48
H -0.28 2.52 -4.11
H 2.80 0.12 3.65
H 3.09 3.06 0.55
H -8.52 -1.89 -5.58
N 4.31 -2.20 2.02
H 1.22 0.53 -3.13
C 3.40 5.62 0.51
O -1.55 1.85 -6.98
H -8.35 -1.96 5.12
H 7.19 8.70 1.37
H 3.47 6.59 1.01
H -8.03 -0.07 6.40
C -6.53 -1.04 -4.18
C 2.45 2.36 -3.63
H -2.99 1.23 -8.29
O -0.59 -0.81 -4.14
H -4.01 -4.19 7.88
H 4.88 -0.12 2.01
H -7.01 -1.08 -3.20
H 5.10 8.24 3.56
H -2.01 -0.07 -7.59
H -6.77 -1.62 4.40
H 3.33 -3.19 -0.98
C -8.31 -0.21 3.84
H -0.39 -0.63 -1.24
H 2.55 4.59 2.20
H 5.30 -3.94 1.29
C 1.45 3.36 -3.05
C -0.97 -4.50 3.48
C 0.19 -5.48 3.47
C 6.45 8.08 1.88
H 6.29 -2.54 1.54
H 3.19 5.79 -0.55
C 5.84 8.85 3.05
H 1.54 4.27 -3.66
H -1.33 -4.34 4.50
C 5.21 -2.42 -0.30
H -2.76 -2.65 6.70
C 2.58 -2.10 3.37
H -5.02 -3.54 5.05
C -5.12 -3.53 6.14
H 0.66 -2.80 -4.69
H 3.12 -1.70 -0.02
H -5.18 -2.48 6.44
C -0.02 2.92 -3.12
H 4.37 -2.03 -2.82
H 0.79 -1.51 -0.13
C -3.55 0.68 -6.28
H -0.66 -3.53 3.09
H 2.09 1.89 -4.56
H 2.81 -1.95 -4.33
H -1.13 1.52 -6.18
H -7.61 0.58 3.57
H 6.94 7.17 2.24
C 1.49 0.32 -0.95
H 5.78 -1.50 -0.51
C 1.24 -1.82 -2.29
H 5.01 8.49 0.63
C 0.63 -1.00 -1.08
O 2.93 1.38 -2.70
H -6.99 -0.20 -4.71
H 0.96 -4.86 5.15
H 1.74 -2.35 4.00
C 5.30 -2.86 1.17
H -0.16 2.08 -2.43
C 3.79 -1.44 -2.10
O 5.44 7.69 0.95
H 6.61 9.14 3.77
H 3.34 2.93 -3.93
H -3.86 -5.25 6.46
C -6.75 -2.34 -4.93
C -3.92 -4.21 6.78
H -4.30 -0.06 -6.57
C 2.02 0.41 -2.38
O -2.71 -3.57 6.41
H -0.72 3.69 -2.80
H 2.38 0.28 -0.31
N 2.44 -1.03 -2.62
H -4.06 1.62 -6.05
H -8.61 -0.74 2.94
C 2.33 4.76 1.14
C 3.13 -0.80 3.19
H -6.31 -3.17 -4.38
H -3.07 0.34 -5.35
H 0.56 -5.62 2.46
H -9.18 0.26 4.28
H 4.38 5.14 0.57
C 3.75 -2.20 -0.76
H -6.05 -4.03 6.42
H 5.62 -3.22 -0.91
C -7.66 -1.16 4.84
H 0.97 1.25 -0.71
H 1.37 -2.82 -1.87
C -2.52 0.88 -7.37
H -0.12 -6.45 3.87
H 5.33 9.75 2.70
P 0.02 -2.07 -3.66
H 1.72 3.66 -2.03
H -1.80 -4.87 2.88
O 2.64 -1.04 -4.04
```

Calculated values
E_HOMO (eV): -10.6
Net charge: +1
Orbital gap (eV): 7.84

***

(2)
ORCA calculation (wB97M-V/def2-TZVPD) on 11 unconnected molecules or ions with the total composition C29H70O13 at a distorted geometry.

The geometry in XYZ format:
```
112
C29H70O13 wB97M-V/def2-TZVPD
C 1.42 -2.90 -1.05
H -0.77 -2.73 -2.38
H 0.14 5.42 -1.99
H -5.77 -1.65 -1.34
H 4.82 0.59 -4.37
H -0.48 -0.14 6.26
H 1.63 -2.89 -2.12
H -4.60 -4.19 -0.91
H 2.13 3.03 2.10
O 4.26 0.89 -0.07
H -6.62 -3.09 -0.77
H -2.12 -1.79 4.46
H 6.42 -5.24 -0.13
H -4.27 -1.74 0.65
O -0.96 -2.71 -1.43
H 2.28 2.02 5.64
C -1.42 -1.41 3.70
C 1.31 1.67 6.00
C 3.62 -0.03 0.74
H 2.21 1.88 -5.36
H -2.27 3.32 -4.60
O 3.02 0.31 1.95
C 1.60 3.91 0.07
O 3.63 -1.19 0.40
C 0.67 2.20 -1.62
H -1.77 0.60 -3.95
H -6.89 -3.18 -6.30
H -0.16 -3.47 0.29
H -2.78 -1.64 2.03
H 5.35 -4.74 2.07
H 1.12 0.72 2.76
H 6.57 -3.51 -0.46
H 1.92 4.93 0.36
C 1.73 2.86 1.06
H 0.29 1.93 -2.64
H -4.65 2.51 -4.76
C -4.24 1.23 1.76
H 2.91 -0.67 -4.09
C 3.83 1.04 -4.21
O 4.66 -4.27 -0.47
C 5.29 3.20 4.23
H -5.10 -3.17 1.23
C -3.94 2.65 2.20
C 0.92 4.69 -2.34
C -6.73 -2.77 -5.30
C 6.08 2.29 3.30
O -4.69 -3.38 -1.41
H -5.65 0.95 3.08
H 6.96 -3.99 1.98
H -2.39 1.95 -5.72
H -2.38 0.27 3.45
O -5.55 -1.10 -4.02
H 1.74 -0.43 5.73
C -1.77 -1.95 2.33
O -4.84 0.50 2.83
H 5.83 2.50 2.26
C -5.23 -2.25 0.65
H -1.08 -1.55 1.58
C -3.90 1.97 -4.17
H -6.39 -3.57 -4.64
H 7.15 2.44 3.44
H 3.05 0.57 -6.17
C 5.95 -3.99 1.56
O 3.00 0.11 -3.53
O -1.56 1.54 -3.88
C -5.67 -2.57 -0.76
H -5.22 -1.81 -3.46
H -3.32 0.72 1.47
H 2.19 -3.48 -0.54
H -4.93 1.22 0.91
H 3.69 2.08 4.22
H 1.89 5.22 -2.50
H -3.26 2.65 3.06
H -1.72 -3.04 2.32
H 0.59 1.74 5.19
C -5.73 -1.63 -5.33
[Exercise]
It remains to retype the part of the entries above that starts with the line with "4.00" and stops after the one with "-0.72 3.69".
[Reply]
H 1.74 -2.35 4.00
C 5.30 -2.86 1.17
H -0.16 2.08 -2.43
C 3.79 -1.44 -2.10
O 5.44 7.69 0.95
H 6.61 9.14 3.77
H 3.34 2.93 -3.93
H -3.86 -5.25 6.46
C -6.75 -2.34 -4.93
C -3.92 -4.21 6.78
H -4.30 -0.06 -6.57
C 2.02 0.41 -2.38
O -2.71 -3.57 6.41
H -0.72 3.69 -2.80